# Job
Duplicate only the lines below with the word "s2" in them.

# Material
1.
{
  "formula": "C3H4N2O3",
  "method": "wB97M-V/def2-TZVPD",
  "gap_ha": 0.3940,
  "relative_energy_kcal_mol": 157.68,
  "mol_weight_g_mol": 116.076,
  "species": ["C", "O", "N", "O", "C", "N", "C", "O", "H", "H", "H", "H"],
  "positions_angstrom": [[1.67, -0.31, 0.49], [0.97, -0.72, -0.77], [-0.21, -0.19, -0.76], [-1.37, -1.05, -0.54], [-2.10, -0.19, 0.08], [-1.74, 1.12, 0.27], [-0.33, 1.08, -0.39], [0.49, 1.97, -0.63], [1.42, -1.31, 1.24], [2.67, -0.63, 0.34], [1.67, 0.88, 0.69], [-3.15, -0.64, -0.01]]
}

2.
{
  "formula": "C30H27CoN5O2S3Sb",
  "method": "wB97M-V/def2-TZVPD",
  "gap_ha": [0.2325, 0.1652],
  "relative_energy_kcal_mol": 49.79,
  "multiplicity": 6,
  "mol_weight_g_mol": 766.473,
  "total_charge": -1,
  "s2": 8.814,
  "species": ["Co", "S", "Sb", "S", "S", "C", "C", "C", "C", "C", "C", "N", "C", "C", "C", "C", "C", "C", "H", "H", "H", "H", "H", "H", "H", "H", "H", "H", "O", "C", "N", "C", "C", "O", "N", "C", "C", "C", "C", "C", "C", "C", "C", "C", "C", "C", "C", "H", "H", "H", "H", "H", "H", "H", "H", "H", "H", "H", "C", "N", "C", "C", "N", "H", "H", "H", "H", "H", "H"],
  "positions_angstrom": [[1.46, -1.26, 0.42], [-0.28, -5.67, 2.29], [-0.12, -4.04, 0.59], [-0.65, -2.00, 1.94], [2.20, -3.46, 0.72], [-2.70, 2.17, 0.02], [-1.77, 1.62, -1.04], [-0.64, 0.78, -0.43], [-0.12, 1.21, 0.92], [-0.90, 2.01, 1.70], [-2.23, 2.40, 1.25], [1.07, 0.61, 1.24], [1.85, 1.04, 2.29], [2.13, 2.40, 2.53], [3.01, 2.79, 3.52], [3.66, 1.85, 4.32], [3.41, 0.50, 4.09], [2.52, 0.10, 3.09], [-3.68, 2.50, -0.29], [-1.60, 0.54, -2.84], [0.20, 0.80, -1.13], [-0.59, 2.26, 2.70], [-2.87, 2.88, 1.97], [1.63, 3.14, 1.91], [3.20, 3.85, 3.68], [4.34, 2.16, 5.10], [3.89, -0.25, 4.70], [2.32, -0.95, 2.93], [-3.74, -1.53, 1.82], [-3.02, -1.19, 0.91], [-3.44, -0.75, -0.32], [-2.39, -0.73, -1.33], [-1.09, -0.72, -0.44], [-0.08, -1.53, -0.84], [-1.64, -1.16, 0.88], [-2.37, 0.61, -2.06], [-1.25, 2.85, -1.72], [-1.81, 3.53, -2.76], [-3.00, 3.26, -3.47], [-3.88, 2.15, -3.35], [-3.66, 0.98, -2.71], [-2.45, -1.95, -2.23], [-3.22, -3.06, -1.88], [-3.24, -4.20, -2.68], [-2.48, -4.25, -3.84], [-1.68, -3.17, -4.18], [-1.67, -2.03, -3.38], [-4.41, -0.82, -0.55], [-0.38, 3.30, -1.24], [-1.31, 4.45, -3.04], [-3.30, 4.02, -4.18], [-4.83, 2.25, -3.87], [-4.44, 0.23, -2.73], [-3.80, -3.04, -0.97], [-3.84, -5.04, -2.39], [-2.49, -5.14, -4.46], [-1.06, -3.21, -5.07], [-1.01, -1.21, -3.65], [5.61, -1.45, 2.07], [5.30, -0.32, 1.20], [5.61, 1.02, 1.71], [4.24, -0.44, 0.43], [3.31, -0.54, -0.25], [6.69, -1.52, 2.20], [5.24, -2.37, 1.61], [5.12, -1.33, 3.04], [6.63, 1.00, 2.08], [4.93, 1.31, 2.51], [5.54, 1.74, 0.89]]
}

3.
{
  "formula": "C7H14OS",
  "method": "wB97M-V/def2-TZVPD",
  "gap_ha": [0.3039, 0.2546],
  "relative_energy_kcal_mol": 147.23,
  "mol_weight_g_mol": 146.255,
  "species": ["C", "C", "C", "C", "C", "C", "C", "O", "S", "H", "H", "H", "H", "H", "H", "H", "H", "H", "H", "H", "H", "H", "H"],
  "positions_angstrom": [[3.60, 1.21, -0.13], [-0.28, 0.59, 0.79], [1.10, 0.48, 1.17], [-0.34, -0.52, -1.41], [-1.11, -0.36, -0.24], [-1.49, -1.58, 0.53], [-2.51, 0.32, -0.64], [2.77, -1.18, -0.38], [2.32, 0.17, -0.49], [4.57, 0.92, -0.49], [3.28, 2.22, -0.11], [-0.98, 0.61, 1.71], [-0.41, 1.53, 0.37], [1.52, 1.39, 1.66], [1.42, -0.31, 1.88], [0.44, -1.18, -1.43], [-0.49, 0.08, -2.27], [-1.10, -1.62, 1.53], [-1.04, -2.45, -0.15], [-2.54, -1.69, 0.50], [-3.19, 0.40, 0.16], [-2.95, -0.35, -1.35], [-2.60, 1.32, -1.22]]
}

4.
{
  "formula": "C13H27INO3S",
  "method": "wB97M-V/def2-TZVPD",
  "gap_ha": 0.2701,
  "mol_weight_g_mol": 404.334,
  "total_charge": 1,
  "species": ["C", "C", "O", "O", "C", "C", "C", "C", "C", "C", "N", "C", "C", "C", "I", "H", "H", "H", "H", "H", "H", "H", "H", "H", "H", "H", "H", "H", "H", "H", "H", "H", "H", "H", "H", "H", "C", "S", "O", "C", "H", "H", "H", "H", "H", "H"],

# Reply
  "s2": 8.814,